Entries:
********
Entry 1:
# KY2Tc GGA-PBE optimized geometry
data_KY2Tc
_cell_length_a 3.4387
_cell_length_b 3.4387
_cell_length_c 34.5881
_cell_angle_alpha 90.00
_cell_angle_beta 90.00
_cell_angle_gamma 120.00
_space_group_name_H-M_alt 'R 3 m'
_space_group_IT_number 160
_space_group_name_Hall 'R 3 -2"'
loop_
_atom_site_label
_atom_site_type_symbol
_atom_site_fract_x
_atom_site_fract_y
_atom_site_fract_z
_atom_site_occupancy
K1 K 0.0000 0.0000 0.0000 1
Y1 Y 0.0000 0.0000 0.5320 1
Y2 Y 0.0000 0.0000 0.7749 1
Tc1 Tc 0.0000 0.0000 0.2543 1
# ΔE to the lowest computed polymorph	0.5674	eV per atom
# crystal system	trigonal


Entry 2:
# CeMgGe2Pt2 GGA-PBE optimized geometry
data_CeMgGe2Pt2
_cell_length_a 4.3710
_cell_length_b 4.3710
_cell_length_c 6.8708
_cell_angle_alpha 90.00
_cell_angle_beta 90.00
_cell_angle_gamma 120.00
_space_group_name_H-M_alt 'P -3 m 1'
_space_group_IT_number 164
_space_group_name_Hall '-P 3 2"'
loop_
_atom_site_label
_atom_site_type_symbol
_atom_site_fract_x
_atom_site_fract_y
_atom_site_fract_z
_atom_site_occupancy
Ce1 Ce 0.0000 0.0000 0.0000 1
Mg1 Mg 0.0000 0.0000 0.5000 1
Ge1 Ge 0.3333 0.6667 0.2745 1
Pt1 Pt 0.3333 0.6667 0.6966 1
# crystal system	trigonal


Entry 3:
# Sr2MgVB GGA-PBE optimized geometry
data_Sr2MgVB
_cell_length_a 5.824
_cell_length_b 5.824
_cell_length_c 4.147
_cell_angle_alpha 90.00
_cell_angle_beta 90.00
_cell_angle_gamma 90.00
_space_group_name_H-M_alt 'P 4/m m m'
_space_group_IT_number 123
_space_group_name_Hall '-P 4 2'
loop_
_atom_site_label
_atom_site_type_symbol
_atom_site_fract_x
_atom_site_fract_y
_atom_site_fract_z
_atom_site_occupancy
Sr1 Sr 0.000 0.500 0.000 1
Mg1 Mg 0.000 0.000 0.500 1
V1 V 0.500 0.500 0.500 1
B1 B 0.500 0.500 0.000 1
# ΔE to the lowest computed polymorph	0.0000	eV per atom
# crystal system	tetragonal


Number 1: DOS(E_F) 5.71 states/eV/f.u., raw total energy -5.41 eV per atom, energy relative to the elements 0.69 eV per atom. Number 2: DOS(E_F) 5.58 states/eV/f.u., raw total energy -5.66 eV per atom, energy relative to the elements -0.86 eV per atom. Number 3: DOS(E_F) 10.01 states/eV/f.u., raw total energy -3.63 eV per atom, energy relative to the elements 0.52 eV per atom.

=====

Record 1
## Li3ZrCl (PBE)

Data for Li3ZrCl after structural relaxation.

a = 4.6397 Å, b = 4.6397 Å, c = 4.6397 Å
α = 90.00°, β = 90.00°, γ = 90.00°
With the nearest neighbours (Å) after each atom.
Sites, in units of the cell vectors:
1 Li 0.0000 0.0000 0.5000  2 Cl 2.32
2 Li 0.0000 0.5000 0.0000  2 Cl 2.32
3 Li 0.5000 0.0000 0.0000  2 Cl 2.32
4 Zr 0.5000 0.5000 0.5000  12 Li 3.28
5 Cl 0.0000 0.0000 0.0000  6 Li 2.32

Output
The formation energy without anion corrections comes out at 0.07 eV/atom. Its calculated density is 2.45 g/cm³. Its relative energy among the computed polymorphs is 0.0 meV per atom. The magnetic moment is 0.0 μB per formula unit. As for the space-group type: Pm-3m. As for the final energy: -0.11619 hartree per atom.

---

Record 2
## ZrHgMo2 (PBE)

Data for ZrHgMo2 after structural relaxation.

a = 5.3727 Å, b = 5.3727 Å, c = 5.3727 Å
α = 141.68°, β = 128.49°, γ = 65.99°
With the nearest neighbours (Å) after each atom.
Sites, in units of the cell vectors:
1 Zr 0.0000 0.0000 0.0000  8 Mo 2.88-3.22, 4 Hg 3.02-3.11
2 Hg 0.2720 0.7720 0.5000  8 Mo 2.93-3.15, 4 Zr 3.02-3.11
3 Mo 0.5370 0.5370 0.0000  2 Mo 2.59
4 Mo 0.7468 0.2468 0.5000  2 Mo 2.59, 2 Zr 2.88

Output
Its calculated density is 10.82 g/cm³. The formation enthalpy at 0 K comes out at 0.8 eV per formula unit. The magnetic moment is 0.0 μB per formula unit. As for the space-group type: Imm2. As for the final energy: -0.27303 hartree per atom.

---

Record 3
## HfUPbO6 (PBE)

Data for HfUPbO6 after structural relaxation.

a = 5.6857 Å, b = 5.6857 Å, c = 10.4601 Å
α = 90.00°, β = 90.00°, γ = 120.00°
With the nearest neighbours (Å) after each atom.
Sites, in units of the cell vectors:
1 Hf 0.3333 0.6667 0.2500  6 O 2.10
2 Hf 0.6667 0.3333 0.7500  6 O 2.10
3 U 0.3333 0.6667 0.7500  6 O 2.10
********

Exercise:
It remains to print the whole of the listing earlier on unchanged.

Result:
Entry 1:
# KY2Tc GGA-PBE optimized geometry
data_KY2Tc
_cell_length_a 3.4387
_cell_length_b 3.4387
_cell_length_c 34.5881
_cell_angle_alpha 90.00
_cell_angle_beta 90.00
_cell_angle_gamma 120.00
_space_group_name_H-M_alt 'R 3 m'
_space_group_IT_number 160
_space_group_name_Hall 'R 3 -2"'
loop_
_atom_site_label
_atom_site_type_symbol
_atom_site_fract_x
_atom_site_fract_y
_atom_site_fract_z
_atom_site_occupancy
K1 K 0.0000 0.0000 0.0000 1
Y1 Y 0.0000 0.0000 0.5320 1
Y2 Y 0.0000 0.0000 0.7749 1
Tc1 Tc 0.0000 0.0000 0.2543 1
# ΔE to the lowest computed polymorph	0.5674	eV per atom
# crystal system	trigonal


Entry 2:
# CeMgGe2Pt2 GGA-PBE optimized geometry
data_CeMgGe2Pt2
_cell_length_a 4.3710
_cell_length_b 4.3710
_cell_length_c 6.8708
_cell_angle_alpha 90.00
_cell_angle_beta 90.00
_cell_angle_gamma 120.00
_space_group_name_H-M_alt 'P -3 m 1'
_space_group_IT_number 164
_space_group_name_Hall '-P 3 2"'
loop_
_atom_site_label
_atom_site_type_symbol
_atom_site_fract_x
_atom_site_fract_y
_atom_site_fract_z
_atom_site_occupancy
Ce1 Ce 0.0000 0.0000 0.0000 1
Mg1 Mg 0.0000 0.0000 0.5000 1
Ge1 Ge 0.3333 0.6667 0.2745 1
Pt1 Pt 0.3333 0.6667 0.6966 1
# crystal system	trigonal


Entry 3:
# Sr2MgVB GGA-PBE optimized geometry
data_Sr2MgVB
_cell_length_a 5.824
_cell_length_b 5.824
_cell_length_c 4.147
_cell_angle_alpha 90.00
_cell_angle_beta 90.00
_cell_angle_gamma 90.00
_space_group_name_H-M_alt 'P 4/m m m'
_space_group_IT_number 123
_space_group_name_Hall '-P 4 2'
loop_
_atom_site_label
_atom_site_type_symbol
_atom_site_fract_x
_atom_site_fract_y
_atom_site_fract_z
_atom_site_occupancy
Sr1 Sr 0.000 0.500 0.000 1
Mg1 Mg 0.000 0.000 0.500 1
V1 V 0.500 0.500 0.500 1
B1 B 0.500 0.500 0.000 1
# ΔE to the lowest computed polymorph	0.0000	eV per atom
# crystal system	tetragonal


Number 1: DOS(E_F) 5.71 states/eV/f.u., raw total energy -5.41 eV per atom, energy relative to the elements 0.69 eV per atom. Number 2: DOS(E_F) 5.58 states/eV/f.u., raw total energy -5.66 eV per atom, energy relative to the elements -0.86 eV per atom. Number 3: DOS(E_F) 10.01 states/eV/f.u., raw total energy -3.63 eV per atom, energy relative to the elements 0.52 eV per atom.

=====

Record 1
## Li3ZrCl (PBE)

Data for Li3ZrCl after structural relaxation.

a = 4.6397 Å, b = 4.6397 Å, c = 4.6397 Å
α = 90.00°, β = 90.00°, γ = 90.00°
With the nearest neighbours (Å) after each atom.
Sites, in units of the cell vectors:
1 Li 0.0000 0.0000 0.5000  2 Cl 2.32
2 Li 0.0000 0.5000 0.0000  2 Cl 2.32
3 Li 0.5000 0.0000 0.0000  2 Cl 2.32
4 Zr 0.5000 0.5000 0.5000  12 Li 3.28
5 Cl 0.0000 0.0000 0.0000  6 Li 2.32

Output
The formation energy without anion corrections comes out at 0.07 eV/atom. Its calculated density is 2.45 g/cm³. Its relative energy among the computed polymorphs is 0.0 meV per atom. The magnetic moment is 0.0 μB per formula unit. As for the space-group type: Pm-3m. As for the final energy: -0.11619 hartree per atom.

---

Record 2
## ZrHgMo2 (PBE)

Data for ZrHgMo2 after structural relaxation.

a = 5.3727 Å, b = 5.3727 Å, c = 5.3727 Å
α = 141.68°, β = 128.49°, γ = 65.99°
With the nearest neighbours (Å) after each atom.
Sites, in units of the cell vectors:
1 Zr 0.0000 0.0000 0.0000  8 Mo 2.88-3.22, 4 Hg 3.02-3.11
2 Hg 0.2720 0.7720 0.5000  8 Mo 2.93-3.15, 4 Zr 3.02-3.11
3 Mo 0.5370 0.5370 0.0000  2 Mo 2.59
4 Mo 0.7468 0.2468 0.5000  2 Mo 2.59, 2 Zr 2.88

Output
Its calculated density is 10.82 g/cm³. The formation enthalpy at 0 K comes out at 0.8 eV per formula unit. The magnetic moment is 0.0 μB per formula unit. As for the space-group type: Imm2. As for the final energy: -0.27303 hartree per atom.

---

Record 3
## HfUPbO6 (PBE)

Data for HfUPbO6 after structural relaxation.

a = 5.6857 Å, b = 5.6857 Å, c = 10.4601 Å
α = 90.00°, β = 90.00°, γ = 120.00°
With the nearest neighbours (Å) after each atom.
Sites, in units of the cell vectors:
1 Hf 0.3333 0.6667 0.2500  6 O 2.10
2 Hf 0.6667 0.3333 0.7500  6 O 2.10
3 U 0.3333 0.6667 0.7500  6 O 2.10